Search the entries further below for the word "SrCaZrCrO6" and echo each line that has it.

+++
Below is SrCaZrCrO6 after structural relaxation, with properties calculated at the GGA+U level.

formation enthalpy at 0 K: -3039 meV per atom

extended XYZ file:
```
10
Lattice="0.000 -4.010 -4.010 4.010 0.000 -4.010 4.010 -4.010 0.000" Properties=species:S:1:pos:R:3 pbc="T T T"
Sr 6.014 -6.014 -6.014
Ca 2.005 -2.005 -2.005
Zr 4.010 -4.010 -4.010
Cr 0.000 0.000 0.000
O 1.931 -4.010 -4.010
O 6.088 -4.010 -4.010
O 4.010 -6.088 -4.010
O 4.010 -1.931 -4.010
O 4.010 -4.010 -6.088
O 4.010 -4.010 -1.931
```

---

Below is Ca2Ta2CrO8 after structural relaxation, with properties calculated at the GGA+U level.

formation enthalpy at 0 K: -3173 meV per atom

extended XYZ file:
```
52
Lattice="-4.489 0.706 -2.978 -0.749 -10.358 -0.432 -6.509 5.052 10.202" Properties=species:S:1:pos:R:3 pbc="T T T"
Ca -7.496 -2.668 3.247
Ca -4.241 -5.194 -1.853
Ca -4.263 -1.943 3.528
Ca -7.517 0.584 8.629
Ca -5.437 -2.480 0.372
Ca -8.691 0.046 5.472
Ca -6.323 -2.130 6.407
Ca -3.069 -4.656 1.306
Ta -6.648 0.546 2.534
Ta -9.903 3.072 7.635
Ta -5.117 -5.154 4.244
Ta -1.861 -7.679 -0.857
Ta -9.722 -2.995 6.372
Ta -6.467 -5.521 1.271
Ta -2.039 -1.612 0.403
Ta -5.294 0.914 5.503
Cr -4.508 1.376 -0.407
Cr -7.267 -5.972 7.183
Cr -7.765 3.903 4.691
Cr -4.007 -8.503 2.079
O -3.504 0.860 4.380
O -6.759 3.387 9.482
O -8.259 -5.467 2.395
O -5.004 -7.993 -2.705
O -8.591 -3.885 7.737
O -5.337 -6.411 2.636
O -3.171 -0.723 -0.960
O -6.426 1.803 4.141
O -4.999 0.998 1.676
O -8.255 3.526 6.777
O -6.770 -5.598 5.096
O -3.514 -8.125 -0.005
O -10.222 -4.262 5.113
O -6.967 -6.789 0.012
O -1.546 -0.339 1.660
O -4.802 2.186 6.760
O -6.059 -0.685 4.043
O -2.804 -3.211 -1.058
O -5.698 -3.923 2.733
O -8.953 -1.397 7.834
O -3.052 -4.622 3.558
O -6.307 -2.095 8.658
O -8.705 0.017 3.221
O -5.451 -2.509 -1.879
O -3.481 -2.333 1.470
O -6.736 0.193 6.571
O -8.278 -2.279 5.306
O -5.023 -4.805 0.205
O -4.986 -3.463 5.190
O -1.731 -5.990 0.089
O -6.774 -1.145 1.587
O -10.029 1.382 6.688
```

---

Below is Ca4Cr5Te3O18 after structural relaxation, with properties calculated at the GGA+U level.

formation enthalpy at 0 K: -2270 meV per atom

extended XYZ file:
```
60
Lattice="5.028 7.537 0.000 -5.028 7.537 0.000 0.000 1.780 10.775" Properties=species:S:1:pos:R:3 pbc="T T T"
Ca -1.440 11.528 4.183
Ca 0.169 8.502 2.581
Ca -1.440 5.327 6.592
Ca 0.169 8.353 8.195
Ca 3.573 9.400 8.018
Ca 0.451 4.682 9.648
Ca 0.451 12.173 1.127
Ca 3.573 7.455 2.757
Cr -1.567 11.295 10.287
Cr 0.327 2.959 5.017
Cr 0.032 5.568 3.318
Cr -0.996 14.040 8.741
Cr 0.032 11.287 7.457
Cr -4.535 7.537 0.000
Cr -1.573 8.427 5.388
Cr -0.996 2.814 2.034
Cr 0.327 13.895 5.758
Cr -1.567 5.560 0.488
Te 1.956 11.610 9.919
Te -3.196 8.087 2.798
Te -3.196 8.768 7.977
Te 2.002 10.680 4.525
Te 2.002 6.175 6.251
Te 1.956 5.244 0.856
O -1.697 4.693 8.802
O -1.225 10.362 8.739
O -0.225 9.838 6.092
O -3.219 7.255 4.604
O -1.225 6.492 2.036
O -3.219 9.600 6.171
O 2.438 9.417 2.979
O 0.484 2.490 8.881
O -1.689 7.507 7.115
O 1.337 4.574 4.608
O -0.234 9.608 0.667
O -2.260 3.904 0.931
O 0.298 15.105 7.471
O 0.497 12.656 9.041
O -0.234 7.247 10.108
O 1.484 6.596 2.270
O -1.051 13.860 4.565
O 0.497 4.198 1.734
O -0.225 7.017 4.683
O -1.051 2.994 6.210
O 0.746 11.493 3.384
O -1.251 12.841 6.957
O 0.484 14.365 1.894
O 1.484 10.258 8.505
O -0.871 15.374 10.209
O -3.125 7.876 10.480
O -2.260 12.950 9.844
O 2.438 7.437 7.796
O 0.298 1.750 3.304
O -1.251 4.013 3.818
O 0.746 5.361 7.392
O -3.125 8.978 0.295
O -1.689 9.347 3.660
O 1.337 12.280 6.167
O -0.871 1.480 0.566
O -1.697 12.161 1.973
```

---

Below is Ca2TiCrO6 after structural relaxation, with properties calculated at the GGA+U level.

formation enthalpy at 0 K: -3090 meV per atom

extended XYZ file:
```
20
Lattice="5.399 0.000 0.008 0.000 5.459 0.000 0.012 0.000 7.602" Properties=species:S:1:pos:R:3 pbc="T T T"
Ca 2.754 2.944 1.904
Ca 5.351 0.214 1.909
Ca 2.657 2.515 5.706
Ca 0.060 5.245 5.701
Ti 2.706 0.000 3.806
Ti 0.013 2.731 7.600
Cr 2.700 0.001 0.007
Cr 0.008 2.730 3.799
+++

Below is SrCaZrCrO6 after structural relaxation, with properties calculated at the GGA+U level.